by Marion Nestle

Currently browsing posts about: Food-trade

Dec 5 2018

The effects of our trade war with China

President Trump has just announced a truce in our trade war with China.  We need one.

In August, the Trump Administration said it would provide $12 billion to farmers to make up for the losses in income caused by the dispute.

I’ve been collecting items about what’s actually happening with the bailout payments.

  • Not much has been paid out: The New York Times reports that the USDA has paid out just $838 million of the $6 billion that became available in September. Another pool of up to $6 billion is expected to become available next month.
  • They are not helping Wisconsin dairy farmers: According to the Milwaukee Sentinal Journal, about 4,800 dairy farms are collectively getting about 80 percent of the $10.4 million coming to the state, with an average payment of $2,390.  But the Wisconsin Farmers Union says a 55-cow dairy farm would receive a one-time payment of $725 from the Trump bailout program, but would lose between $36,000 and $48,000 this year due to low milk prices.
  • They are not doing much for Iowa farmers either:  According to the Des Moines Register, the 4300 payments total nearly $31 million, with an average payment of $7,236.  But 100 payments are less than $25, 24 are less than $10, and 11 are $5 or less.
  • Payments are going to 1,100 city residents; these average $881.  According to the Environmental Working Group, the recipients may or may not actually be involved in farming.  The EWG got the data from the USDA.
  • The National Corn Growers Association wants more money for corn farmers.  Its letter to USDA says the agency does not understand the how badly the trade disruptions are affecting its members. Its own study estimates corn growers losses at $6.3 billion.
  • North Dakota soybean growers have a storage problem, says the New York Times,  because they can’t sell the beans to China.
  • Kansas soybean farmers are also in trouble, writes the New York Times.
  • Overall farm income is declining, says USDA.

I think it’s fair to conclude at this point that current trade policies are tough on US agribusiness.

Oct 23 2018

Trump’s trade policies hurt the heartland

I am ever surprised by the extent to which Trump Administration’s policies directly harm its core supporters.  Two recent reports tell the story.

One comes from a group called Tariffs Hurt the Heartland, which has produced an accounting of the losses to businesses in Texas as a result of Republican trade policies—$424 million gone, just in August. 

Some of this affects farmers:

Scott Frazier, a south Texas farmer and Secretary-Treasurer of the Texas Farm Bureau, warned that tariffs will have long-term consequences for agriculture by shuttering the foreign markets that farmers in Texas and across the country depend on.  One quarter of our agricultural products grown in the U.S. are exported to other countries. The economic well-being of American agriculture depends on maintaining and strengthening our export markets, and farm and ranch families depend on this to survive.

This group also has produced an interactive, searchable map at that let’s you find stories of how tariffs are affecting local communities, state by state, and you can learn more about the campaign here.

The second report comes from the Brookings Institute.  It analyzes the effects of Trump’s trade wars on his base.

The report comes with a spreadsheet where you can look up the data for yourself.

Trade wars have consequences, in this case for U.S. agriculture, which according to this report accounts for 15% of the retaliatory tariff burden:

The retaliatory tariffs differ by trading partner, but there are some commonly targeted industries. All four markets focused tariffs on agricultural products. Agriculture cuts a very specific geography across the United States, particularly implicating metro areas in California’s Central Valley as well as rural areas and small towns in states like Illinois, Iowa, and Nebraska.


Oct 16 2018

Connecting the dots: The trade war with China and feeding America’s poor

I was struck last week by an article in the Wall Street Journal with this intriguing title: “Food Banks Reap Unexpected Bounty From Trade Disputes.”

I thought this was an especially poignant example of food politics from a food systems perspective—looking at the big picture context of what we eat, from production to consumption to waste.

Image result for food systems

Our current trade war with China is having a series of effects:

  • China has retaliated by putting import tariffs on US food products, reducing their sales in that country.
  • Because we greatly overproduce food, and depend on exports to sell it, we now have a glut of products that can’t be sold—soybeans mainly, but also pork, apples, cheese, figs, peanut butter, orange juice, and others.
  • The Trump Administration says it will help farmers hurt by the trade dispute by buying their products to the tune of $1.2 billion so far.
  • Food banks have no idea how they can handle all of what will be dumped on them—950 million pounds on top of the 700 million pounds they usually get—because they do not have the money to process and store the donations (one organization says this costs 23 cents per pound of food).
  • The food bank trade association, Feeding America, is calling for $200 to $300 million to pay for distributing the excess burden of food donations.

None of this makes sense to me.

Wouldn’t it be a whole lot better to

  • Prevent or end this trade dispute?
  • Ensure that food banks are unnecessary?
Oct 5 2018

Weekend Reading: Eating NAFTA

_Inserted here: calculated crystals_
<<<
(1)
Below is a geometry-optimized CoSnF2 structure, with properties calculated at the PBE with a Hubbard U level.

Values from the calculation:
* distance to the lowest polymorph of the same formula: 0.0 meV/atom
* N(E_F): 0.72 states/eV/atom

a b c (Å): 3.2596 3.2596 21.3443
angles (deg): 90.00 90.00 120.00
Space group R-3m (No. 166, hexagonal axes)
Symmetry-distinct sites (fractional):
Co1 0.0000 0.0000 0.0000 [3 per cell]
Sn1 0.0000 0.0000 0.5000 [3 per cell]
F1 0.0000 0.0000 0.3852 [6 per cell]

***

(2)
Below is a geometry-optimized Co2SnF structure, with properties calculated at the PBE with a Hubbard U level.

Values from the calculation:
* distance to the lowest polymorph of the same formula: 84.3 meV/atom
* N(E_F): 0.82 states/eV/atom

a b c (Å): 6.3534 6.3534 6.3534
angles (deg): 90.00 90.00 90.00
Space group Fm-3m (No. 225)
Symmetry-distinct sites (fractional):
Co1 0.2500 0.2500 0.2500 [8 per cell]
Sn1 0.0000 0.0000 0.0000 [4 per cell]
F1 0.0000 0.0000 0.5000 [4 per cell]

***

(3)
Below is a geometry-optimized VCoSnF6 structure, with properties calculated at the PBE with a Hubbard U level.

Values from the calculation:
* final energy: -97.7 eV per cell

a b c (Å): 5.5223 5.5223 10.2135
angles (deg): 90.00 90.00 120.00
Space group P-31c (No. 163)
Symmetry-distinct sites (fractional):
V1 0.3333 0.6667 0.2500 [2 per cell]
Co1 0.3333 0.6667 0.7500 [2 per cell]
Sn1 0.0000 0.0000 0.0000 [2 per cell]
F1 0.0079 0.3597 0.6414 [12 per cell]

***

(4)
Below is a geometry-optimized Co2SnWF structure, with properties calculated at the PBE with a Hubbard U level.

Values from the calculation:
* final energy: -19.0 eV per cell
* N(E_F): 0.52 states/eV/atom

a b c (Å): 4.8011 4.8011 4.1797
angles (deg): 90.00 90.00 90.00
Space group P4/mmm (No. 123)
Symmetry-distinct sites (fractional):
Co1 0.0000 0.5000 0.0000 [2 per cell]
Sn1 0.0000 0.0000 0.0000 [1 per cell]
W1 0.5000 0.5000 0.5000 [1 per cell]
F1 0.0000 0.0000 0.5000 [1 per cell]

***

(5)
Below is a geometry-optimized Sr3CoF structure, with properties calculated at the PBE with a Hubbard U level.

Values from the calculation:
* distance to the lowest polymorph of the same formula: 0.0 meV/atom
* N(E_F): 0.50 states/eV/atom

a b c (Å): 5.3390 5.3390 5.3390
angles (deg): 90.00 90.00 90.00
Space group Pm-3m (No. 221)
Symmetry-distinct sites (fractional):
Sr1 0.0000 0.0000 0.5000 [3 per cell]
Co1 0.5000 0.5000 0.5000 [1 per cell]
F1 0.0000 0.0000 0.0000 [1 per cell]

***

(6)
Below is a geometry-optimized SrCoF3 structure, with properties calculated at the PBE with a Hubbard U level.

Values from the calculation:
* distance to the lowest polymorph of the same formula: 308.2 meV/atom
* N(E_F): 0.03 states/eV/atom

a b c (Å): 4.7055 4.7055 4.7055
angles (deg): 90.00 90.00 90.00
Space group Pm-3m (No. 221)
Symmetry-distinct sites (fractional):
Sr1 0.0000 0.0000 0.0000 [1 per cell]
Co1 0.5000 0.5000 0.5000 [1 per cell]
F1 0.0000 0.0000 0.5000 [3 per cell]

***

(7)
>>>
_Back to the text_

Alyshia Gálvez.  Eating NAFTA: Trade, Food Policies, and the Destruction of Mexico.  University of California Press, 2018.

Image result for eating nafta

This compelling book, by a Lehman College professor of Latin American Studies, links US trade policies to the destruction of Mexico’s corn economy and consequent destruction of Mexico’s traditional food culture, and shows how that destruction affected immigration, the border wall, drug wars, and, ultimately, public health.

Mexican food—real Mexican food—“is falling out of reach for many Mexican people,” she says.

Trade policies, in this case the North American Free Trade Agreement (just signed), not only affect what people eat, but also their health.

Gálvez starts by explaining

Using a Latin American studies frame, we can see that ever since the European conquest, ideas about citizenship, responsibility, and capability in the hemisphere have been viewed through the lenses of racialization, class, and gender.  The same social groups viewed in the colonial and early independence periods as incapable of assuming the responsibilities of citizenship happen to be the same people now blamed for their own susceptibility to diet-related illness.

Gálvez gave a talk at NYU earlier this week at which she passed around a basket of traditional corn tortillas, obtained for $7 at Whole Foods.  They were delicious.   These, she pointed out, are almost impossible to get here or in Mexico, having been almost entirely replaced by commercial tortillas, having nothing like the original flavor and texture.

NAFTA dumped underpriced US corn on the Mexican market, undercut local prices, and put farmers out of business.  Without local corn, mills went out of business.

The other speakers at her session, Mireya Loza and Krishnendu Ray of my NYU department, emphasized how NAFTA has induced irreparable losses, not only of small-scale farming and the livelihoods of small farmers and corn millers, but also of the food habits that used to define Mexico’s indigenous foodways.

They will be using Eating NAFTA in the courses they teach.  Lucky students.

If you want to understand what “free trade” is really about—on the personal as well as the political level—this is the book to read.

Sep 25 2018

A glimmer into the stunning effects of our trade war with China

I find the details of trade policy almost impossible to understand (so many arcane rules, so many countries), and am grateful whenever I read something crystal clear.

Politico explains (behind a paywall, alas) how our trade war with China is hurting US soybean farmers, beginning with:

The good news: The European Union is buying lots more US soybeans than it used to.  Purchases are up 133% over last year, and now account for 52% of EU soybean imports.

The bad news: The EU is buying US soybeans because they are cheap.  Because China is not buying US soybeans, there is a glut; prices have fallen by 20%.

Estimates are that the EU will buy $2.5 billion this year.  But last year, China bought $12.3 billion in soybeans.  That’s nearly a $10 billion loss unless other buyers can be found (the estimate is a $7 billion loss).

China is now buying soybeans from Brazil, and at premium prices.

Here’s what the American Soybean Association has to say about all this.

One more indicator:  Politico also mentions an article in the Milwaukee Journal Sentinal detailing how more than 2,500 US dairy farmers have resorted to GoFundMe campaigns to save their farms.

I wish we grew more food for people instead of food for animals or fuel for cars, and that our agricultural policy linked to health policy.

Maybe if we did that, we wouldn’t be in this situation.  But GoFundMe campaigns?

Maybe we just need real agricultural policies.

Aug 29 2018

The $12 billion trade mitigation promised to farmers: who gets how much?

Recall that to mitigate the damage to U.S. agriculture caused by our current tariff disputes, President Trump promised to give affected farmers $12 billion.

The USDA has now set up its Trade Mitigation Programs.  As seems invariably to be the case, these are not simple; they involve three separate programs:

  • The Food Purchase and Distribution Program
  • The Market Facilitation Program
  • The Agricultural Trade Promotion Program

Food Purchase and Distribution Program

The government (taxpayers) will purchase up to $1.2 billion in commodities and then distribute them to food assistance programs.

USDA issued a list.  Here are some selected examples, to which you must add three zeros (amounts are in $1000s):

Apples $93,400
Apricots $200
Beef $14,800
Blueberries $1,700
Hazelnuts $2,100
Kidney Beans $14,200
Pork $558,800
Potatoes $44,500
Strawberries $1,500

The big winner here is pork, hit badly by the trade disputes.

The Market Facilitation Program

This one gets a bigger slice—$4.7 billion.

Here, the big winner is soybeans — $3.6 of the $4.7 billion in payments.  Corn producers are lpretty much left out.  I can’t imagine tht they are pleased.

The Agricultural Trade Promotion Program

All I’ve seen about it is that USDA will spend $200 million on foreign market development.

What are we to make of this?

Whether trade groups are for or against this depends on how much of this pie they get.  Overall agricultural losses will be greater than $12 billion, so everyone loses, but some more than others.  The Environmental Working Group has filed a FOIA request for information about how USDA made these decisions.  Can’t wait to see what they get.

Only half of that has been distributed so far.

Let’s hope the lobbying is transparent so we can see who is doing what.

The Documents 


Jul 26 2018

Trump’s $12 billion “gold crutches” to deal with trade retaliation against US agriculture

President Trump says he will fix the retaliation damage his trade policy has caused for agriculture with $12 billion added to USDA programs.

The New York Times quote of the day:  “This trade war is cutting the legs out from under farmers and the White House’s “plan” is to spend $12 billion on gold crutches.”  –Sen. Ben Sasse, R-Nebraska

The USDA explains that

These programs will assist agricultural producers to meet the costs of disrupted markets. This is a short-term solution to allow President Trump time to work on long-term trade deals to benefit agriculture and the entire U.S. economy.

Politico (behind paywall) quotes USDA Secretary Perdue: “”The programs we are announcing today are a firm statement that other nations cannot bully our agricultural producers to force the United States to cave in.”  It explains that the 3-part plan will:

  1. Provide direct payments to growers and producers of soybeans, sorghum, corn, wheat, cotton, pork and dairy.
  2. Purchase fruit, nuts, rice, beef, pork and dairy products from U.S. producers for redistribution to federal nutrition assistance programs.
  3. Put resources toward finding new markets for U.S. farmers to sell their products abroad.

Not everyone loves this idea.  Politico quotes Senator Ron Johnson (R-Wisconsin):

This is becoming more and more like a Soviet-type of economy here: Commissars deciding who’s going to be granted waivers, commissars in the administration figuring out how they’re going to sprinkle around benefits…I’m very exasperated. This is serious.

It also quotes Rep. Dave Reichert (R-Wash.) observing that the bailout does nothing to preserve market access lost as a result of the tariff policies.

Some in the ag community, they say, ‘That’s great, thank you for the help’ — except that the problem then becomes we’ve lost the market, so how do we get the market back?…That’s the question.

In general, agricultural groups view this as an inadequate short-term fix for a problem that won’t go away until Trump ends the trade war.

Former USDA Secretary Dan Glickman tweeted a link to a longer statement:

Rep. Chellie Pingree (D-Maine) is introducing legislation to ensure a fairer distribution of the bailouts.  How about some trade relief for fishermen?

In the meantime, The Street reports the effect of this plan on the market: Soybean futures for November delivery settled more than 1% higher; Deere & Co. and other farm equipment stocks also went up.  CBS News also notes the rise in ag stock prices.

== Someone pasted materials data at this point ==
Model 1:
Computed, not measured: an optimized crystal structure of SmErPdAu at the PBE level of DFT. Values from VASP.

Results
The crystal system is cubic. Its space group is No. 216.

Geometry as Quantum ESPRESSO input:
```
&SYSTEM
  ibrav = 0, nat = 4, ntyp = 4
/
ATOMIC_SPECIES
Sm 150.36 Sm.upf
Er 167.26 Er.upf
Pd 106.42 Pd.upf
Au 196.97 Au.upf
CELL_PARAMETERS angstrom
0.000 3.579 3.579
3.579 0.000 3.579
3.579 3.579 0.000
ATOMIC_POSITIONS crystal
Sm 0.000 0.000 0.000
Er 0.500 0.500 0.500
Pd 0.750 0.750 0.750
Au 0.250 0.250 0.250
```

Model 2:
Computed, not measured: an optimized crystal structure of SmErPdAu at the PBE level of DFT. Values from VASP.

Results
The crystal system is orthorhombic. Its space group is No. 38.

Geometry as Quantum ESPRESSO input:
```
&SYSTEM
  ibrav = 0, nat = 4, ntyp = 4
/
ATOMIC_SPECIES
Sm 150.36 Sm.upf
Er 167.26 Er.upf
Pd 106.42 Pd.upf
Au 196.97 Au.upf
CELL_PARAMETERS angstrom
4.712 0.000 0.000
0.000 1.888 5.337
0.000 -1.888 5.337
ATOMIC_POSITIONS crystal
Sm 0.000 0.000 0.000
Er 0.500 0.724 0.724
Pd 0.000 0.273 0.273
Au 0.500 0.444 0.444
```

Which structure is the most stable? The one labeled model 2.

Model 1:
Computed, not measured: an optimized crystal structure of Pm3ErAu2 at the PBE level of DFT. Values from VASP.

Results
The crystal system is orthorhombic. Its space group is No. 26.

Geometry as Quantum ESPRESSO input:
```
&SYSTEM
  ibrav = 0, nat = 12, ntyp = 3
/
ATOMIC_SPECIES
Pm 145.00 Pm.upf
Er 167.26 Er.upf
Au 196.97 Au.upf
CELL_PARAMETERS angstrom
5.078 0.000 0.000
0.000 9.211 0.000
0.000 0.000 7.154
ATOMIC_POSITIONS crystal
Pm 0.000 0.075 0.000
Pm 0.000 0.336 0.356
Pm 0.000 0.664 0.856
Pm 0.000 0.925 0.500
Pm 0.500 0.166 0.660
Pm 0.500 0.834 0.160
Er 0.500 0.427 0.016
Er 0.500 0.573 0.516
Au 0.000 0.350 0.774
Au 0.000 0.650 0.274
Au 0.500 0.159 0.242
Au 0.500 0.841 0.742
```

Model 2:
Computed, not measured: an optimized crystal structure of Pm3ErAu2 at the PBE level of DFT. Values from VASP.

Results
The crystal system is orthorhombic. Its space group is No. 72.

Geometry as Quantum ESPRESSO input:
```
&SYSTEM
  ibrav = 0, nat = 12, ntyp = 3
/
ATOMIC_SPECIES
Pm 145.00 Pm.upf
Er 167.26 Er.upf
Au 196.97 Au.upf
CELL_PARAMETERS angstrom
-3.578 7.025 3.752
3.578 -7.025 3.752
3.578 7.025 -3.752
ATOMIC_POSITIONS crystal
Pm 0.020 0.750 0.270
Pm 0.250 0.250 0.000
Pm 0.480 0.750 0.730
Pm 0.520 0.250 0.270
Pm 0.750 0.750 0.000
Pm 0.980 0.250 0.730
Er 0.000 0.500 0.500
Er 0.500 0.000 0.500
Au 0.139 0.207 0.346
Au 0.361 0.707 0.067
Au 0.639 0.293 0.933
Au 0.861 0.793 0.654
```

Which structure is the most stable? The one labeled model 1.

Model 1:
Computed, not measured: an optimized crystal structure of Pm2ErAu2 at the PBE level of DFT. Values from VASP.

Results
The crystal system is orthorhombic. Its space group is No. 71.

Geometry as Quantum ESPRESSO input:
```
&SYSTEM
  ibrav = 0, nat = 5, ntyp = 3
/
ATOMIC_SPECIES
Pm 145.00 Pm.upf
Er 167.26 Er.upf
Au 196.97 Au.upf
CELL_PARAMETERS angstrom
== The materials data stop here ==

Analysts generally view this as a move to maintain Trump’s base of support among soy and corn producers in the lead up to the midterm elections.  It solves a short-term political problem, but does nothing to protect US agricultural markets.  See, for example, accounts from

Jun 7 2018

What does US vs. NAFTA mean for US food producers? Nothing good.

The NAFTA agreement meant that the US, Canada, and Mexico would not impose tariffs on each other’s products.

But the Trump Administration has announced tariffs on steel and aluminum imported from Canada and Mexico.

Canada is retaliating.  Here is its list of US products subject to new tariffs.  Table 2 lists agricultural products, among them,

  • Yogurt
  • Coffee
  • Prepared meals
  • Maple sugar
  • Pizza and quiche
  • Chocolate
  • Waters
  • Whiskies

Mexico also is retaliating.  Its list (in Spanish) includes, among others,

  • Cheeses
  • Apples
  • Ham
  • Pork
  • Potatoes
  • Whisky

This means that these products will be more expensive—a lot more expensive—in Canada and Mexico and, therefore, will not sell as well.

Pork producers are particularly distressed.